• Source:
+++
Record 1
Entry from OMol25: CH2O4P as an isolated structure in a non-equilibrium geometry (ωB97M-V/def2-TZVPD).

Energy relative to the best compared isomer or geometry (same formula, charge and spin) in eV: 0.872
Electronic energy in hartree: -681.74209
HOMO energy in eV: -5.281
Largest force on an atom in eV/Å: 3.5
Total charge: -1

Cartesian coordinates (Å):
C1 1.650 -0.235 -0.477
O1 -2.178 -1.057 0.230
O2 -1.545 0.812 1.796
O3 0.502 0.235 -0.259
O4 2.598 0.165 -1.122
P1 -1.547 0.247 0.470
H1 -1.397 1.086 -0.654
H2 1.916 -1.253 0.017

***

Record 2
Entry from OMol25: the molecule CH2O4S in a non-equilibrium geometry (ωB97M-V/def2-TZVPD).

Energy relative to the best compared isomer or geometry (same formula, charge and spin) in eV: 1.134
Electronic energy in hartree: -738.40803
HOMO energy in eV: -10.809
Largest force on an atom in eV/Å: 4.4
Total charge: 0

Cartesian coordinates (Å):
C1 1.009 -0.584 -0.172
O1 -1.175 1.400 -0.318
O2 -0.053 -0.834 -0.880
O3 -1.102 -0.421 1.202
O4 1.172 0.499 0.376
S1 -1.448 -0.109 -0.136
H1 1.950 -1.401 -0.217
H2 -0.354 1.449 0.144

***

Record 3
Entry from OMol25: CH2O4Si as an isolated structure in a non-equilibrium geometry (ωB97M-V/def2-TZVPD).

Energy relative to the best compared isomer or geometry (same formula, charge and spin) in eV: 5.513
Electronic energy in hartree: -629.64422
HOMO energy (alpha / beta) in eV: -11.789 / -11.962
Largest force on an atom in eV/Å: 6.0
Total charge: 0

Cartesian coordinates (Å):
C1 0.757 -0.247 -1.057
O1 1.466 -0.777 -1.869
O2 1.101 0.963 -0.934
O3 -0.337 -0.648 -0.499
O4 -0.398 1.678 0.719
Si1 -0.685 0.194 0.937
H1 -1.949 -0.420 0.944
H2 0.046 -0.743 1.760

***

Record 4
Entry from OMol25: an isolated ion of composition CH2O5P and charge -1 in a non-equilibrium geometry (ωB97M-V/def2-TZVPD).

Energy relative to the best compared isomer or geometry (same formula, charge and spin) in eV: 1.421
Electronic energy in hartree: -757.02196
HOMO energy in eV: -5.042
SMILES string: O=C([O-])OP(O)O
Largest force on an atom in eV/Å: 2.5
Total charge: -1

Cartesian coordinates (Å):
C1 -2.579 -0.148 -0.083
O1 -1.216 -0.693 -0.027
O2 -3.238 -0.572 0.838
O3 0.531 0.932 -0.341
O4 0.842 -1.678 -0.387
O5 -2.765 0.675 -0.960
P1 -0.079 -0.514 -1.061
H1 -0.194 1.504 -0.564
H2 0.764 -1.662 0.638

***

Record 5
Entry from OMol25: an isolated ion of composition CH2OPS2 and charge -1 in a non-equilibrium geometry (ωB97M-V/def2-TZVPD).

Energy relative to the best compared isomer or geometry (same formula, charge and spin) in eV: 0.177
Electronic energy in hartree: -1252.32754
HOMO energy in eV: -3.844
SMILES string: [O-]C(=S)SP
Largest force on an atom in eV/Å: 2.3
Total charge: -1

Cartesian coordinates (Å):
C1 -1.345 0.161 0.094
O1 -0.726 1.205 0.023
P1 1.329 0.062 -0.587
S1 -2.945 -0.122 0.252
S2 -0.096 -1.291 -0.081
H1 2.359 -0.910 -0.389
H2 1.424 0.895 0.688

***

Record 6
Entry from OMol25: a 2-piece molecular cluster, CH2S2 overall in a non-equilibrium geometry (ωB97M-V/def2-TZVPD).

Energy relative to the best compared isomer or geometry (same formula, charge and spin) in eV: 4.111
Electronic energy in hartree: -835.49673
HOMO energy (alpha / beta) in eV: -7.885 / -9.712
Largest force on an atom in eV/Å: 2.2
Total charge: 0

Cartesian coordinates (Å):
C1 -0.549 0.175 0.164
S1 -1.942 0.883 0.075
S2 0.097 -1.356 0.195
H1 1.414 1.387 0.259
H2 0.980 -1.089 -0.693

***

Record 7
Entry from OMol25: the molecule CH2S3 in a non-equilibrium geometry (ωB97M-V/def2-TZVPD).

Energy relative to the best compared isomer or geometry (same formula, charge and spin) in eV: 0.920
Electronic energy in hartree: -1233.81865
HOMO energy in eV: -8.976
SMILES string: S=C(S)S
Largest force on an atom in eV/Å: 2.8
Total charge: 0

Cartesian coordinates (Å):
C1 -0.680 0.066 0.153
S1 -2.326 0.021 0.237
S2 0.224 1.605 0.268
S3 0.207 -1.539 0.285
H1 1.575 1.093 -0.106
H2 1.001 -1.246 -0.837

***

Record 8
+++

• Activity:
Now say how many lines of the data further above hold the word "atom", as a bare number.

• Done:
7